Accident Insurance
ed* Nr. 02/2019 – Chapter 4
a) Finland
Although the Finnish statutory accident insurance system is governed by public law, a distinctive feature of the system is that it is provided by private insurance companies. The choice of insurance company is left to the employer.
All employees in Finland are insured against accidents at work and occupational diseases from their first day of employment. Persons who are
employed for more than twelve working days within a calendar year and receive an annual income of at least €1200 must be insured.
# Between two parts of the text: data records
+++
(1)
An optimized crystal structure of UMnGaNi, computed with PBE.

Values from the calculation:
Size of the total moment, μB/f.u.: 0.148
DOS(E_F), states/eV/cell: 25.7
Formation energy, eV/atom: -0.0488

Lattice parameters (Å, degrees): 6.293 6.293 6.293 90.00 90.00 90.00
Space group F-43m (No. 216)
Unique sites:
U (0.000, 0.000, 0.000) x4
Mn (0.250, 0.250, 0.250) x4
Ga (0.000, 0.000, 0.500) x4
Ni (0.250, 0.250, 0.750) x4

***

(2)
An optimized crystal structure of Y2MnGa2Ni5, computed with PBE.

Values from the calculation:
Size of the total moment, μB/f.u.: 3.473
DOS(E_F), states/eV/cell: 11.5
Formation energy, eV/atom: -0.3001

Lattice parameters (Å, degrees): 9.520 9.520 3.413 90.00 90.00 90.00
Space group P4/mbm (No. 127)
+++
Persons subject to compulsory accident insurance include not only employees but also farmers and recipients of scholarships. There are special provisions for students, apprentices and trainees. Government employees are a further exception because the Ministry of Finance is responsible for funding these benefits.
Self-employed persons have the option
of taking out voluntary insurance in Finland. In principle, however, this is only possible if the self-employed person is also covered by the old-age
pension system (compulsory or voluntary).
Contributions for accident insurance are borne in full by the employer. The amount of the contribution is based on the salary of the person to be insured and the risk of an accident at work.
Accident insurance covers the costs
of any necessary medical treatment
and compensation for loss of income
in the form of daily allowances, disability pensions or rehabilitation allowances following an occupational illness or an accident at work or on the way to and from work. The daily allowance for the first four weeks is equal to the salary during the period
of sick leave. The amount is then determined on the basis of annual income. If the employee is still unable to work one year after the accident, he or she receives a full or partial disability pension. Daily allowances, disability pensions and rehabilitation allowances count as taxable income.
In the event of death, both the widow/widower and the children receive a survivor’s pension. This is regarded as taxable income. A funeral benefit is also paid.
Patients have freedom of choice (in both the public and private sectors). However, the insurer is entitled to determine the hospital where treatment is carried out and a one-off treatment with a doctor.
Finish legislation lays down the requirements that employers must implement with regard to occupational safety and health.

b) Croatia
Croatian accident insurance is characterised by the fact that it does not exist – at least not as an independent branch
of social insurance. In the event of a work accident or occupational disease, a person is covered by the statutory health and pension insurance systems. Pension insurance covers long-term benefits such as reduced earning capacity pensions, while health insurance covers short-term benefits such as treatment costs and benefits in kind. Work accidents,
commuting accidents and occupational diseases are all covered.
Insurance is compulsory for employees and the self-employed. Under special circumstances, students doing an internship, members of the voluntary fire brigade and natural disaster responders are also covered.
The system is funded by both contributions and taxes. The portion to be paid into the pension insurance system is divided into income-related contributions and taxes for the first pillar and employee contributions plus yields for the second pillar. The portion paid to health insurance consists of employer contributions and taxes.
The cause of the health impairment can determine the scope of benefits and the prerequisites for benefits. At first, the catalogue of benefits provided by health and pension insurance also apply after an accident at work or in the event of an occupational disease. Health insurance covers all costs for medical treatment and rehabilitation as well as the payment of injury benefits. The costs for occupational rehabilitation are initially covered by pension insurance. Vocational retraining, on the other hand, is financed by unemployment insurance. Following an accident, reduced earning capacity pensions are calculated according to the principles of pension insurance, taking into account the years of employment. However, entitlement is not subject to the usual insurance requirements. In addition, there are disability benefits in the event of work-related damage to health.
The Croatian Institute for Occupational Safety and Health Protection is responsible for integrating and promoting occupational activities into occupational safety and health in order to improve working conditions and prevent workplace accidents and occupational illnesses.

c) A look at Germany: difficult to compare systems
The accident insurance systems could hardly be more different: Germany with its public system, Finland with its mandatory but privately administered system, and finally Croatia with almost a complete absence of an independent institution. Although they have different organisational structures, all three countries want to offer their workers the best possible health and safety at work and the best possible care. The German statutory accident insurance system is the only one of the three countries to have an independent pillar in the overall structure of the social insurance system. In contrast to the Finnish accident insurance system, German accident insurance institutions are public entities with statutory powers. Whereas Croatia delegates responsibility to the pension and health insurance systems, Finland engages private insurers, which compete with each other.
Differences can also be seen in the group of persons subject to compulsory insurance. Only in Croatia is it compulsory for self-employed persons to take out insurance. In comparison, Finland and Germany with their ‘illusory’ accident insurance systems rely to a large extent on voluntary insurance for the self-employed, albeit in differing ways.
All three systems provide health, rehabilitation and cash benefits in the event of reduced earning capacity, as well as survivors’ benefits. From an international perspective, Germany’s statutory accident insurance serves as a very important role model. Intensive work in prevention and public relations raises awareness of the subject. In the Finnish system, employers are required to comply with certain occupational health and safety regulations and to take preventive measures. However, each insurer also has the right to decide how this is to be done.
Croatia, a comparatively young social security system, requires employers to ensure occupational safety and health. The need for public relations work and campaigns has been acknowledged and is on the rise.
The different systems can learn from one another. For example, Germany could do more to ensure that self-employed persons are insured, whereas the German principles of solidarity and ‘all appropriate means’ could find acceptance in Finland and Croatia, at least among potential insurance beneficiaries.
A more detailed description of the Finish and Croatian systems can be found in the background document.